Wanted >
Please give back everything further down word for word.
Input >
# PBEsol Co2IrAu, relaxed
data_Co2IrAu
_chemical_formula_sum 'Co8 Ir4 Au4'
_space_group_name_H-M_alt 'F m -3 m'
_space_group_IT_number 225
_space_group_name_Hall '-F 4 2 3'
_cell_length_a 5.952
_cell_length_b 5.952
_cell_length_c 5.952
_cell_angle_alpha 90.00
_cell_angle_beta 90.00
_cell_angle_gamma 90.00
loop_
_atom_site_label
_atom_site_type_symbol
_atom_site_fract_x
_atom_site_fract_y
_atom_site_fract_z
Co1 Co 0.250 0.250 0.250
Ir1 Ir 0.000 0.000 0.000
Au1 Au 0.000 0.000 0.500
# Energy relative to the lowest polymorph listed for this composition   0.165 eV per atom
# Spin magnetization   18.494 μB per cell
# E_form   1.37 eV per formula unit

***

# PBEsol CoIrAu, relaxed
data_CoIrAu
_chemical_formula_sum 'Co4 Ir4 Au4'
_space_group_name_H-M_alt 'F -4 3 m'
_space_group_IT_number 216
_space_group_name_Hall 'F -4 2 3'
_cell_length_a 5.733
_cell_length_b 5.733
_cell_length_c 5.733
_cell_angle_alpha 90.00
_cell_angle_beta 90.00
_cell_angle_gamma 90.00
loop_
_atom_site_label
_atom_site_type_symbol
_atom_site_fract_x
_atom_site_fract_y
_atom_site_fract_z
Co1 Co 0.000 0.000 0.000
Ir1 Ir 0.250 0.250 0.750
Au1 Au 0.250 0.250 0.250
# Spin magnetization   11.768 μB per cell
# E_form   1.83 eV per formula unit

***

# PBEsol Co2IrAu, relaxed
data_Co2IrAu
_chemical_formula_sum 'Co4 Ir2 Au2'
_space_group_name_H-M_alt 'C 1 m 1'
_space_group_IT_number 8
_space_group_name_Hall 'C -2y'
_cell_length_a 8.847
_cell_length_b 2.678
_cell_length_c 4.514
_cell_angle_alpha 90.00
_cell_angle_beta 102.57
_cell_angle_gamma 90.00
loop_
_atom_site_label
_atom_site_type_symbol
_atom_site_fract_x
_atom_site_fract_y
_atom_site_fract_z
Co1 Co 0.000 0.000 0.000
Co2 Co 0.232 0.500 0.256
Ir1 Ir 0.253 0.000 0.793
Au1 Au 0.489 0.000 0.490
# Energy relative to the lowest polymorph listed for this composition   0.038 eV per atom
# Spin magnetization   7.624 μB per cell
# E_form   0.87 eV per formula unit

* * * * *

## RbSn2I (PBE-GGA)

Data for a geometry-optimized RbSn2I structure.

Lattice parameters (Å, degrees): 7.828 7.828 7.828 99.90 99.90 131.01
Positions (direct):
Rb 0.000 0.000 0.000
Rb 0.750 0.250 0.500
Sn 0.159 0.625 0.034
Sn 0.375 0.409 0.534
Sn 0.591 0.125 0.966
Sn 0.875 0.841 0.466
I 0.250 0.750 0.500
I 0.500 0.500 0.000

Properties
- E_form (uncorrected): 0.04 eV/atom
- Space-group type: I-42d, No. 122
- D(E_F): 6.155 states/eV/cell
- E_tot: -2.587 eV/atom

* * * * *

[1]
Entry from the Alexandria database: crystalline InSbCl2 at its relaxed geometry (PBE).

Computed properties:
* energy above the lowest structure with this stoichiometry: 31.3 kJ/mol of atoms
* D(E_F): 2.96 states/eV per cell

a b c (Å): 5.6392 5.6392 5.6392
angles (deg): 131.30 131.30 71.34
Fractional positions:
In (0.0000, 0.0000, 0.0000)
Sb (0.5000, 0.5000, 0.0000)
Cl (0.2500, 0.7500, 0.5000)
Cl (0.7500, 0.2500, 0.5000)

=====

[2]
Entry from the Alexandria database: crystalline InSbCl2 at its relaxed geometry (PBE).

Computed properties:
* energy above the lowest structure with this stoichiometry: 17.7 kJ/mol of atoms
* D(E_F): 2.88 states/eV per cell

a b c (Å): 7.8217 7.8217 7.8217
angles (deg): 154.00 145.65 43.58
Fractional positions:
In (0.0000, 0.0000, 0.0000)
Sb (0.1824, 0.6824, 0.5000)
Cl (0.4445, 0.4445, 0.0000)
Cl (0.7006, 0.2006, 0.5000)

=====

[3]
Entry from the Alexandria database: crystalline InSb2Cl at its relaxed geometry (PBE).

Computed properties:
* D(E_F): 0.12 states/eV per cell

a b c (Å): 8.9491 8.9491 8.9491
angles (deg): 27.62 27.62 27.62
Fractional positions:
In (0.0000, 0.0000, 0.0000)
Sb (0.2394, 0.2394, 0.2394)
Sb (0.5113, 0.5113, 0.5113)
Cl (0.7243, 0.7243, 0.7243)

=====

[4]
Entry from the Alexandria database: crystalline InSb2Cl at its relaxed geometry (PBE).

Computed properties:
* D(E_F): 0.32 states/eV per cell

a b c (Å): 3.3399 4.1081 9.2503
angles (deg): 90.00 100.39 90.00
Fractional positions:
In (0.0000, 0.0000, 0.0000)
Sb (0.6634, 0.5000, 0.3017)
Sb (0.7741, 0.0000, 0.5211)
Cl (0.4338, 0.5000, 0.8432)

=====

[5]
Result >
# PBEsol Co2IrAu, relaxed
data_Co2IrAu
_chemical_formula_sum 'Co8 Ir4 Au4'
_space_group_name_H-M_alt 'F m -3 m'
_space_group_IT_number 225
_space_group_name_Hall '-F 4 2 3'
_cell_length_a 5.952
_cell_length_b 5.952
_cell_length_c 5.952
_cell_angle_alpha 90.00
_cell_angle_beta 90.00
_cell_angle_gamma 90.00
loop_
_atom_site_label
_atom_site_type_symbol
_atom_site_fract_x
_atom_site_fract_y
_atom_site_fract_z
Co1 Co 0.250 0.250 0.250
Ir1 Ir 0.000 0.000 0.000
Au1 Au 0.000 0.000 0.500
# Energy relative to the lowest polymorph listed for this composition   0.165 eV per atom
# Spin magnetization   18.494 μB per cell
# E_form   1.37 eV per formula unit

***

# PBEsol CoIrAu, relaxed
data_CoIrAu
_chemical_formula_sum 'Co4 Ir4 Au4'
_space_group_name_H-M_alt 'F -4 3 m'
_space_group_IT_number 216
_space_group_name_Hall 'F -4 2 3'
_cell_length_a 5.733
_cell_length_b 5.733
_cell_length_c 5.733
_cell_angle_alpha 90.00
_cell_angle_beta 90.00
_cell_angle_gamma 90.00
loop_
_atom_site_label
_atom_site_type_symbol
_atom_site_fract_x
_atom_site_fract_y
_atom_site_fract_z
Co1 Co 0.000 0.000 0.000
Ir1 Ir 0.250 0.250 0.750
Au1 Au 0.250 0.250 0.250
# Spin magnetization   11.768 μB per cell
# E_form   1.83 eV per formula unit

***

# PBEsol Co2IrAu, relaxed
data_Co2IrAu
_chemical_formula_sum 'Co4 Ir2 Au2'
_space_group_name_H-M_alt 'C 1 m 1'
_space_group_IT_number 8
_space_group_name_Hall 'C -2y'
_cell_length_a 8.847
_cell_length_b 2.678
_cell_length_c 4.514
_cell_angle_alpha 90.00
_cell_angle_beta 102.57
_cell_angle_gamma 90.00
loop_
_atom_site_label
_atom_site_type_symbol
_atom_site_fract_x
_atom_site_fract_y
_atom_site_fract_z
Co1 Co 0.000 0.000 0.000
Co2 Co 0.232 0.500 0.256
Ir1 Ir 0.253 0.000 0.793
Au1 Au 0.489 0.000 0.490
# Energy relative to the lowest polymorph listed for this composition   0.038 eV per atom
# Spin magnetization   7.624 μB per cell
# E_form   0.87 eV per formula unit

* * * * *

## RbSn2I (PBE-GGA)

Data for a geometry-optimized RbSn2I structure.

Lattice parameters (Å, degrees): 7.828 7.828 7.828 99.90 99.90 131.01
Positions (direct):
Rb 0.000 0.000 0.000
Rb 0.750 0.250 0.500
Sn 0.159 0.625 0.034
Sn 0.375 0.409 0.534
Sn 0.591 0.125 0.966
Sn 0.875 0.841 0.466
I 0.250 0.750 0.500
I 0.500 0.500 0.000

Properties
- E_form (uncorrected): 0.04 eV/atom
- Space-group type: I-42d, No. 122
- D(E_F): 6.155 states/eV/cell
- E_tot: -2.587 eV/atom

* * * * *

[1]
Entry from the Alexandria database: crystalline InSbCl2 at its relaxed geometry (PBE).

Computed properties:
* energy above the lowest structure with this stoichiometry: 31.3 kJ/mol of atoms
* D(E_F): 2.96 states/eV per cell

a b c (Å): 5.6392 5.6392 5.6392
angles (deg): 131.30 131.30 71.34
Fractional positions:
In (0.0000, 0.0000, 0.0000)
Sb (0.5000, 0.5000, 0.0000)
Cl (0.2500, 0.7500, 0.5000)
Cl (0.7500, 0.2500, 0.5000)

=====

[2]
Entry from the Alexandria database: crystalline InSbCl2 at its relaxed geometry (PBE).

Computed properties:
* energy above the lowest structure with this stoichiometry: 17.7 kJ/mol of atoms
* D(E_F): 2.88 states/eV per cell

a b c (Å): 7.8217 7.8217 7.8217
angles (deg): 154.00 145.65 43.58
Fractional positions:
In (0.0000, 0.0000, 0.0000)
Sb (0.1824, 0.6824, 0.5000)
Cl (0.4445, 0.4445, 0.0000)
Cl (0.7006, 0.2006, 0.5000)

=====

[3]
Entry from the Alexandria database: crystalline InSb2Cl at its relaxed geometry (PBE).

Computed properties:
* D(E_F): 0.12 states/eV per cell

a b c (Å): 8.9491 8.9491 8.9491
angles (deg): 27.62 27.62 27.62
Fractional positions:
In (0.0000, 0.0000, 0.0000)
Sb (0.2394, 0.2394, 0.2394)
Sb (0.5113, 0.5113, 0.5113)
Cl (0.7243, 0.7243, 0.7243)

=====

[4]
Entry from the Alexandria database: crystalline InSb2Cl at its relaxed geometry (PBE).

Computed properties:
* D(E_F): 0.32 states/eV per cell

a b c (Å): 3.3399 4.1081 9.2503
angles (deg): 90.00 100.39 90.00
Fractional positions:
In (0.0000, 0.0000, 0.0000)
Sb (0.6634, 0.5000, 0.3017)
Sb (0.7741, 0.0000, 0.5211)
Cl (0.4338, 0.5000, 0.8432)

=====

[5]